Data
........
1.
{"formula": "CHO2Yb", "method": "ωB97M-V with the def2-TZVPD basis set", "species": ["H", "O", "O", "C", "Yb"], "xyz": [[1.0507, -0.8131, 0.9909], [-0.6689, -0.8881, -0.1888], [0.6385, 0.8341, 0.1542], [0.4665, -0.4233, 0.0989], [-1.4867, 1.2905, -1.0551]], "forces_ev_per_angstrom": [[0.3543, -1.3638, -1.6856], [0.2916, -0.2150, -1.8181], [-0.2566, 0.9087, -2.4777], [-1.7121, 1.7323, 4.9695], [1.3229, -1.0622, 1.0119]], "e_tot_ha": -1347.7566, "relative_energy_kj_mol": 249.2, "homo_ev": [-6.58, -6.95], "multiplicity": 2, "orbital_gap_ev": [6.553, 5.425], "s2": 0.7522}



2.
........
To do
Say how many lines of the material further up hold the word "set", as a bare number.
Result
1